sidewalk leading to Le Fer Hall

Available to all employees of the Vigo County School Corporation, their spouse and dependents (if applicable). SMWC appreciates the work and dedication of the employees at the Vigo County School Corporation.

To show our appreciation because of your work and dedication, we would like to extend a scholarship opportunity to you, your spouse, and dependents (if applicable). Founded in 1840, SMWC is dedicated to the spirit of student-centered academics, faith, and leadership to transform our communities and the world.

Campus Program

$17,500 tuition scholarship


Must be a full-time student in a degree-seeking campus program. The student must meet the minimum requirements for admission to SMWC. This award will be reduced/replaced with other scholarship and grant offers. This award cannot be combined with other SMWC offers or replace current student award(s). Students must verify proof of employment as a Vigo County School Corporation employee (or spouse/dependent).


Must have a minimum GPA of 2.5 and satisfactory academic progress towards their degree to renew the award for an additional three years (total up to 8 semesters). The student must provide documentation annually to verify employment.

If the student qualifies for a higher scholarship; that award will replace the Vigo County School Corporation award (such as; 21st Century Scholars, Catholic Faith, SMTG or high academic performing student scholarship).

Woods Online Program

A $125 per credit hour discount will be applied to the cost of tuition. Not valid on programs with special billing and cannot be combined with other SMWC offers.


Must be at least a half-time student in a degree-seeking Woods Online program. The student must meet the minimum requirements for admission to SMWC. This award will be reduced/replaced with other scholarship and grant offers. This award cannot be combined with other SMWC offers and cannot be used if the student is utilizing a special tuition billing method. This award will not replace current student award(s). Student must verify proof of employment as a Vigo County employee (or spouse/dependent).


Must have a minimum GPA of 2.5 and satisfactory academic progress towards their degree. The student must provide documentation annually to verify employment.

Inserted here: data records:
+++
1.
Material: Zr2CrRh
Method: DFT, GGA-PBE
State: relaxed

a b c (Å): 4.622 4.622 4.622
angles (deg): 60.00 60.00 60.00
Each line ends with the local moment (μB).
Fractional positions:
Zr1 0.250 0.250 0.250  -0.15
Cr1 0.000 0.000 0.000  1.09
Rh1 0.500 0.500 0.500  0.01
Zr2 0.750 0.750 0.750  -0.15

Calculated values
Its density of states at the Fermi level is 4.2 states/eV/cell. The value obtained for the energy above the lowest structure with this stoichiometry is 66 meV per atom. For the energy relative to the elements, the calculation gives -0.29 eV/atom. For the total DFT energy (no corrections), the calculation gives -8.804 eV/atom. The space-group type is No. 225. The value obtained for the total moment is 0.767 μB per formula unit.

2.
Material: ZrCr2Rh
Method: DFT, GGA-PBE
State: relaxed

a b c (Å): 3.918 2.831 5.600
angles (deg): 75.23 90.00 90.00
Fractional positions:
Cr1 0.500 0.207 0.223
Cr2 0.000 0.059 0.050
Rh1 0.000 0.460 0.474
Zr1 0.500 0.774 0.753

Calculated values
Its density of states at the Fermi level is 4.6 states/eV/cell. The value obtained for the energy above the lowest structure with this stoichiometry is 110 meV per atom. For the energy relative to the elements, the calculation gives 0.02 eV/atom. For the total DFT energy (no corrections), the calculation gives -8.766 eV/atom. The space-group type is No. 6. The value obtained for the total moment is 0.000 μB per formula unit.

3.
Material: ZrCr2Rh2
Method: DFT, GGA-PBE
State: relaxed

a b c (Å): 7.399 7.399 2.714
angles (deg): 90.00 90.00 90.00
Fractional positions:
Cr1 0.668 0.832 0.500
Zr1 0.500 0.500 0.000
Cr2 0.168 0.668 0.500
Cr3 0.832 0.332 0.500
Cr4 0.332 0.168 0.500
Rh1 0.871 0.629 0.000
Rh2 0.129 0.371 0.000
Rh3 0.371 0.871 0.000
Rh4 0.629 0.129 0.000
Zr2 0.000 0.000 0.000

Calculated values
Its density of states at the Fermi level is 13.8 states/eV/cell. The value obtained for the energy above the lowest structure with this stoichiometry is 70 meV per atom. For the energy relative to the elements, the calculation gives -0.04 eV/atom. For the total DFT energy (no corrections), the calculation gives -8.537 eV/atom. The space-group type is No. 127. The value obtained for the total moment is 0.000 μB per formula unit.

4.
Material: ZrCrRh
Method: DFT, GGA-PBE
State: relaxed

a b c (Å): 2.939 2.939 6.679
angles (deg): 90.00 90.00 120.00
Each line ends with the local moment (μB).
Fractional positions:
Zr1 0.333 0.667 0.666  -0.03
Cr1 0.000 0.000 0.019  2.21
Rh1 0.667 0.333 0.315  -0.03

Calculated values
Its density of states at the Fermi level is 4.2 states/eV/cell. The value obtained for the energy above the lowest structure with this stoichiometry is 289 meV per atom. For the energy relative to the elements, the calculation gives 0.18 eV/atom. For the total DFT energy (no corrections), the calculation gives -8.323 eV/atom. The space-group type is No. 156. The value obtained for the total moment is 2.347 μB per formula unit.

5.
Material: ZrCrRh2
+++

*If the student qualifies for federal or state awards, those awards could reduce/replace the Vigo County School Corporation offer to avoid over-awarding.

Woods Online Program – Transition to Teaching

A 20% discount will be applied to the cost of tuition only for Transition to Teaching programs.


Must be at least a half-time student in a transition to teaching Woods Online program. The student must meet the minimum requirements for admission to SMWC. This award will be reduced/replaced with other scholarship and grant offers. This award cannot be combined with other SMWC offers and cannot be used if the student is utilizing a special tuition billing method. This award will not replace current student award(s). Student must verify proof of employment as a Vigo County employee.


Must have a minimum GPA of 2.5 and satisfactory academic progress towards their degree. The student must provide documentation annually to verify employment.

*If the student qualifies for federal or state awards, those awards could reduce/replace the Vigo County School Corporation offer to avoid over-awarding.

Master’s Program (MLD, MHA, MBA, MS-CMHC or MSE)

$275 per course discount (for courses 3 credit hours or more).

Dual Degree – 10% tuition discount off the 2nd degree.


Must be at least a half-time student in one of the programs listed above. The student must meet the minimum requirements for admission to the program. This award will be reduced/replaced with other scholarship and grant offers. This award cannot be combined with other SMWC offers. This award will not replace current student award(s). Student must verify proof of employment as a Vigo County School Corporation employee, or spouse (dependents are not eligible).


Must have a minimum GPA of 3.0 and satisfactory academic progress towards their degree. The student must provide documentation annually to verify employment.

If the student qualifies for outside awards, those awards could reduce/replace the City of Terre Haute offer to avoid over-awarding.

Ph.D. in Global Leadership

### Attached: records of crystals
/*
DFT (GGA-PBE) results for a geometry-optimized Nb2Ir2O5 structure.

Cell: 8.2364 3.4223 3.4223 Å, 90.00 90.00 90.00°
With the nearest neighbours (Å) after each atom.
Atoms (fractional coordinates):
Ir  0.1588  0.5000  0.5000  4 O 2.13
Ir  0.8412  0.5000  0.5000  4 O 2.13
Nb  0.0000  0.0000  0.0000  8 Ir 2.75
Nb  0.5000  0.0000  0.0000  12 O 2.31-2.42
O  0.3120  0.5000  0.0000  2 Ir 2.13, 2 O 2.31, 2 Nb 2.31
O  0.6880  0.5000  0.0000  2 Ir 2.13, 2 O 2.31, 2 Nb 2.31
O  0.3120  0.0000  0.5000  2 Ir 2.13, 2 O 2.31, 2 Nb 2.31
O  0.6880  0.0000  0.5000  2 Ir 2.13, 2 O 2.31, 2 Nb 2.31
O  0.5000  0.5000  0.5000  8 O 2.31, 4 Nb 2.42

## Properties
- Polymorph energy (0 for the lowest one): 0 meV/atom
- Calculated total energy: -7.549 eV per atom
- Space group: P4/mmm (123)
- Total moment: 0.0 μB/f.u.

DFT (GGA-PBE) results for a geometry-optimized NbIrO3 structure.

Cell: 4.9758 9.3747 4.9350 Å, 90.00 90.00 90.00°
With the nearest neighbours (Å) after each atom.
Atoms (fractional coordinates):
Ir  0.0000  0.0000  0.0000  4 O 2.07
Ir  0.0000  0.5000  0.0000  4 O 2.07
Ir  0.5000  0.0000  0.5000  4 O 2.07
Ir  0.5000  0.5000  0.5000  4 O 2.07
Nb  0.6262  0.2500  0.0378  4 O 1.93-2.16
Nb  0.1262  0.2500  0.4622  4 O 1.93-2.16
Nb  0.8738  0.7500  0.5378  4 O 1.93-2.16
Nb  0.3738  0.7500  0.9622  4 O 1.93-2.16
O  0.3181  0.1060  0.1814  2 Ir 2.07, 2 Nb 2.16
O  0.3181  0.3940  0.1814  2 Ir 2.07, 2 Nb 2.16
O  0.0570  0.7500  0.1865  2 Nb 1.93-1.96
O  0.5569  0.7500  0.3135  2 Nb 1.93-1.96
O  0.8181  0.1060  0.3186  2 Ir 2.07, 2 Nb 2.16
O  0.8181  0.3940  0.3186  2 Ir 2.07, 2 Nb 2.16
O  0.1819  0.6060  0.6814  2 Ir 2.07, 2 Nb 2.16
O  0.1819  0.8940  0.6814  2 Ir 2.07, 2 Nb 2.16
O  0.4431  0.2500  0.6865  2 Nb 1.93-1.96
O  0.9431  0.2500  0.8135  2 Nb 1.93-1.96
O  0.6819  0.6060  0.8186  2 Ir 2.07, 2 Nb 2.16
O  0.6819  0.8940  0.8186  2 Ir 2.07, 2 Nb 2.16

## Properties
- Calculated total energy: -7.976 eV per atom
- Space group: Pnma (62)
- Total moment: 0.0 μB/f.u.

DFT (GGA-PBE) results for a geometry-optimized NbIr6Os structure.

Cell: 5.5543 5.5543 4.4368 Å, 90.00 90.00 120.00°
With the nearest neighbours (Å) after each atom.
Atoms (fractional coordinates):
Ir  0.1706  0.3412  0.0000  8 Ir 2.71-2.84, 2 Nb 2.76, 2 Os 2.78
Ir  0.6588  0.8294  0.0000  8 Ir 2.71-2.84, 2 Nb 2.76, 2 Os 2.78
Ir  0.1706  0.8294  0.0000  8 Ir 2.71-2.84, 2 Nb 2.76, 2 Os 2.78
Ir  0.5026  0.0053  0.5000  2 Os 2.72, 8 Ir 2.73-2.82, 2 Nb 2.78
Ir  0.9947  0.4974  0.5000  2 Os 2.72, 8 Ir 2.73-2.82, 2 Nb 2.78
Ir  0.5026  0.4974  0.5000  2 Os 2.72, 8 Ir 2.73-2.82, 2 Nb 2.78
Nb  0.0000  0.0000  0.5000  12 Ir 2.76-2.78
Os  0.6667  0.3333  0.0000  12 Ir 2.72-2.78

## Properties
- Calculated total energy: -9.581 eV per atom
- Space group: P-6m2 (187)
- E_form: -2.199 eV/f.u.
- Total moment: 0.0 μB/f.u.

Q: What is the calculated total energy in the first record?
A: -7.549 eV per atom

Q: What is the formula in the third record?
A: NbIr6Os

~~~~~

# KNaMg2Zn
*/
### The records of crystals stop here

20% per course discount (for courses 3 credit hours or more).


Must be at least a half-time student in the PH.D program. The student must meet the minimum requirements for admission to the program. This award will be reduced/replaced with other scholarship and grant offers. This award cannot be combined with other SMWC offers. This award will not replace current student award(s). Student must verify proof of employment as a Vigo County School Corporation employee, or spouse (dependents are not eligible).


Must have a minimum GPA of 3.0 and satisfactory academic progress towards their degree. The student must provide documentation annually to verify employment.

If the student qualifies for outside awards, those awards could reduce/replace the City of Terre Haute offer to avoid over-awarding.
